Source
'''
# Nd3Zn7Ag2

A geometry-optimized Nd3Zn7Ag2 structure (PBE-GGA, Alexandria via LeMat-Bulk).

calculated formation energy: -0.279 eV/atom
ρ: 7.680 Mg/m³
density of states at the Fermi level: 8.143 states/eV/f.u.

a b c (Å): 9.518 9.518 9.518
angles (deg): 33.91 33.91 33.91
Positions (direct):
Nd (0.000, 0.000, 0.000)
Nd (0.142, 0.142, 0.142)
Nd (0.858, 0.858, 0.858)
Zn (0.080, 0.585, 0.585)
Zn (0.415, 0.415, 0.920)
Zn (0.415, 0.920, 0.415)
Zn (0.500, 0.500, 0.500)
Zn (0.585, 0.080, 0.585)
Zn (0.585, 0.585, 0.080)
Zn (0.920, 0.415, 0.415)
Ag (0.335, 0.335, 0.335)
Ag (0.665, 0.665, 0.665)

* * * * *

The following is a PBE calculation of crystalline Ac2AgHg3 at its relaxed geometry, from OQMD via LeMat-Bulk.

abc: 10.182 9.624 6.378
angles: 76.04 66.53 37.44
Fractional positions:
Ac  0.250  0.250  0.250
Ac  0.250  0.750  0.750
Ac  0.750  0.250  0.250
Ac  0.750  0.750  0.750
Ag  0.167  0.167  0.833
Ag  0.833  0.833  0.167
Hg  0.161  0.670  0.330
Hg  0.330  0.839  0.161
Hg  0.331  0.331  0.669
Hg  0.669  0.669  0.331
Hg  0.670  0.161  0.839
Hg  0.839  0.330  0.670

Values from the calculation:
**Theoretical density**: 11.19 g/cm3
**E**: -2.44 eV/atom
**SG**: Fmmm, No. 69
**DFT formation energy**: -0.45 eV per atom

---

The following is a PBE calculation of crystalline AcAgHg at its relaxed geometry, from OQMD via LeMat-Bulk.

abc: 5.281 5.281 5.281
angles: 60.00 60.00 60.00
Fractional positions:
Ac  0.000  0.000  0.000
Ag  0.750  0.750  0.750
Hg  0.250  0.250  0.250

Values from the calculation:
**Theoretical density**: 8.54 g/cm3
**ΔE to the lowest computed polymorph**: 0.4134 eV/atom
**E**: -2.42 eV/atom
**SG**: F-43m, No. 216
**DFT formation energy**: -0.01 eV per atom

---

Repeat the first record exactly.
The following is a PBE calculation of crystalline Ac2AgHg3 at its relaxed geometry, from OQMD via LeMat-Bulk.

abc: 10.182 9.624 6.378
angles: 76.04 66.53 37.44
Fractional positions:
Ac  0.250  0.250  0.250
Ac  0.250  0.750  0.750
Ac  0.750  0.250  0.250
Ac  0.750  0.750  0.750
Ag  0.167  0.167  0.833
Ag  0.833  0.833  0.167
Hg  0.161  0.670  0.330
Hg  0.330  0.839  0.161
Hg  0.331  0.331  0.669
Hg  0.669  0.669  0.331
Hg  0.670  0.161  0.839
Hg  0.839  0.330  0.670

Values from the calculation:
**Theoretical density**: 11.19 g/cm3
**E**: -2.44 eV/atom
**SG**: Fmmm, No. 69
**DFT formation energy**: -0.45 eV per atom

* * * * *

# 1
Below is crystalline Li2Hg13 at its relaxed geometry, with properties calculated at the PBE level.

## Properties
Space group: R-3m
E_tot: -0.043 Ry per atom
Energy above the most stable polymorph in this dataset: 0.000 eV per atom
ΔE_f: -6 kJ per mole of atoms
Crystal system: trigonal

a b c (Å): 8.3286 8.3286 8.2622
angles (deg): 59.73 59.73 60.00
Sites, in units of the cell vectors:
1 Li 0.6336 0.6336 0.0993
2 Li 0.3664 0.3664 0.9007
3 Hg 0.5000 0.5000 0.5000
4 Hg 0.9944 0.6119 0.7818
5 Hg 0.6119 0.6119 0.7818
6 Hg 0.6119 0.9944 0.7818
7 Hg 0.3881 0.0056 0.2182
8 Hg 0.0056 0.3881 0.2182
9 Hg 0.3881 0.3881 0.2182
10 Hg 0.1471 0.7788 0.2952
11 Hg 0.7788 0.7788 0.2952
12 Hg 0.7788 0.1471 0.2952
13 Hg 0.2212 0.8529 0.7048
14 Hg 0.8529 0.2212 0.7048
15 Hg 0.2212 0.2212 0.7048

=====

# 2
Below is crystalline TlSeS3 at its relaxed geometry, with properties calculated at the PBE level.

## Properties
Space group: Pm-3m
E_tot: -0.242 Ry per atom
Energy above the most stable polymorph in this dataset: 0.390 eV per atom
Crystal system: cubic

a b c (Å): 4.9063 4.9063 4.9063
angles (deg): 90.00 90.00 90.00
Sites, in units of the cell vectors:
1 Tl 0.5000 0.5000 0.5000
2 S 0.0000 0.5000 0.0000
3 S 0.0000 0.0000 0.5000
4 S 0.5000 0.0000 0.0000
5 Se 0.0000 0.0000 0.0000

* * * * *

Entry 1:
NaThP2Pt4 (PBE, optimized geometry); electronic total energy = -6.15 eV per atom; space-group type = P4/mmm, No. 123; E_form = -0.69 eV per atom; calculated volume = 164.2 Å³/cell; D(E_F) = 5.24 states/eV/f.u.
1.0
4.076 0.000 0.000
0.000 4.076 0.000
0.000 0.000 9.887
Na Th P Pt
1 1 2 4
Direct
0.000 0.000 0.500
'''

Brief
Now say how many lines of the entries above hold the word "formation", as a bare number.

Solution
4